Activity:
What is needed: quote every line underneath that contains the word "Pm-3m".

Listing:
- - -
Record 1
Compound: YCuW2
Source: Alexandria
Functional: PBE-GGA
Structure: optimized geometry

The structure in POSCAR format:
```
YCuW2
1.0
-0.6685 -2.7466 -4.2002
-3.6201 -1.2623 4.2334
-2.3528 1.2821 -0.9032
W Cu Y
2 1 1
Cartesian
-1.5106 -0.7322 -2.5517
0.0000 0.0000 0.0000
-2.1443 -2.0045 0.0166
-2.9864 0.0099 1.6651
```

Properties
**Distance to the lowest polymorph of the same formula**: 293 meV/atom
**V**: 71.17 Å³/cell
**SG**: C2/m (12)

---

Record 2
Compound: YCuW2
Source: Alexandria
Functional: PBE-GGA
Structure: optimized geometry

The structure in POSCAR format:
```
YCuW2
1.0
-1.2532 -0.0902 -3.6100
-2.3657 -2.8666 0.8928
-9.2518 5.4146 1.0527
W Cu Y
4 2 2
Cartesian
-3.9526 -0.4496 0.3572
-8.3043 2.9420 -0.2263
-3.3875 0.9393 -1.8687
-10.0970 1.4839 -1.5912
-6.7135 0.5348 0.2934
-1.8094 -1.4784 -1.3586
0.0000 0.0000 0.0000
-6.1572 1.9230 -1.9580
```

Properties
**Distance to the lowest polymorph of the same formula**: 482 meV/atom
**V**: 152.35 Å³/cell
**SG**: I-42d (122)

---

Record 3
Compound: YCuW2
Source: Alexandria
Functional: PBE-GGA
Structure: optimized geometry

The structure in POSCAR format:
```
YCuW2
1.0
5.5374 -0.0057 -0.0141
4.7195 2.8963 -0.0141
1.3924 0.3924 4.4412
W Y Cu
2 1 1
Cartesian
5.6580 1.5946 2.3245
1.5590 0.4394 4.3232
2.9123 0.8208 1.1032
8.7369 2.4623 3.3097
```

Properties
**Distance to the lowest polymorph of the same formula**: 169 meV/atom
**V**: 71.41 Å³/cell
**SG**: C2/m (12)

---

Record 4
Compound: Y3CuW
Source: Alexandria
Functional: PBE-GGA
Structure: optimized geometry

The structure in POSCAR format:
```
Y3CuW
1.0
-4.0111 0.8708 -3.4921
-3.0900 -3.5143 2.6728
-1.8454 3.9916 3.1150
Cu W Y
1 1 3
Cartesian
-4.4732 0.6741 1.1478
0.0000 0.0000 0.0000
-2.0055 0.4354 -1.7461
-0.9227 1.9958 1.5575
-1.5450 -1.7572 1.3364
```

Properties
**Distance to the lowest polymorph of the same formula**: 0 meV/atom
**V**: 156.51 Å³/cell
**SG**: Pm-3m (221)

---

Record 5
Compound: Y2CuW
Source: Alexandria
Functional: PBE-GGA
Structure: optimized geometry

The structure in POSCAR format:
```
Y2CuW
1.0
3.1729 -3.7897 0.2904
-0.3621 -3.7808 -3.1761
3.4381 -0.6245 -3.5076
Y W Cu
2 1 1
Cartesian
4.6867 -6.1463 -4.7949
1.5622 -2.0488 -1.5983
3.1244 -4.0975 -3.1966
0.0000 0.0000 0.0000
```

Properties
**Distance to the lowest polymorph of the same formula**: 120 meV/atom
**V**: 85.82 Å³/cell
**SG**: Fm-3m (225)

---

Record 6
Compound: YCu4W
Source: Alexandria
Functional: PBE-GGA
Structure: optimized geometry

The structure in POSCAR format:
```
YCu4W
1.0
-0.7086 -3.6065 -3.4422
-4.3559 -0.2611 -2.5131
-0.1595 1.1847 -4.8917
Cu W Y
4 1 1
Cartesian
-3.2589 -1.6737 -6.7668
-1.1011 -1.5444 -5.5219
-2.9079 0.1128 -5.0616
-3.1799 -2.2606 -4.3436
-1.3060 -0.6707 -2.7117
0.0000 0.0000 0.0000
```

Properties
**V**: 90.29 Å³/cell
**SG**: F-43m (216)
**VASP energy**: -0.210 Ha/atom
- - -

Response:
**SG**: Pm-3m (221)